Job >
Please count the lines further down that contain the word "Record" and give the number alone.

Entries >
=====
For LaHgSeO, the PBE geometry in OQMD gives the calculated XRD peak list in this record (λ = 1.5418 Å (Cu Kα)).

Crystal structure
```
16
Lattice="5.7803 0.0000 0.0000 0.0000 5.7648 0.0000 -2.3699 0.0000 11.4035" Properties=species:S:1:pos:R:3 pbc="T T T"
La 0.0143 0.0000 1.2117
La 0.5053 0.0051 10.1739
La 2.9051 2.8875 1.2296
La 3.3961 2.8824 10.1918
Hg -0.7260 0.6835 6.6345
Hg 1.0901 0.6059 4.6958
Hg 2.3203 3.4883 6.7077
Hg 4.1363 3.5659 4.7690
Se 0.0167 2.9290 2.9093
Se 0.5126 2.9111 8.4457
Se 2.8978 0.0286 2.9578
Se 3.3937 0.0466 8.4942
O -0.9220 4.3285 11.3994
O 1.4474 1.4557 0.0051
O 1.9629 4.3381 11.3984
O 4.3324 1.4461 0.0041
```

Main lines, in order of falling intensity (10 to 80 degrees two-theta):
hkl 1 1 2, 3.091 Å, 2θ = 28.9°, I = 100.0; hkl 1 1 -4, 2.507 Å, 2θ = 35.8°, I = 41.6; hkl 0 2 0, 2.882 Å, 2θ = 31.0°, I = 30.8; hkl 1 1 1, 3.644 Å, 2θ = 24.4°, I = 29.3; hkl 1 1 0, 4.039 Å, 2θ = 22.0°, I = 26.7; hkl 0 0 6, 1.901 Å, 2θ = 47.9°, I = 20.8; hkl 0 2 1, 2.795 Å, 2θ = 32.0°, I = 19.1; hkl 1 3 -3, 1.685 Å, 2θ = 54.5°, I = 17.1

---

For La2Hg4Pb, the PBE geometry in OQMD gives the calculated XRD peak list in this record (λ = 1.5418 Å (Cu Kα)).

Crystal structure
```
7
Lattice="6.4835 0.0000 0.0000 0.0000 6.4835 0.0000 0.0000 0.0000 4.9902" Properties=species:S:1:pos:R:3 pbc="T T T"
La 0.0000 3.2417 0.0000
La 3.2417 0.0000 0.0000
Hg 1.5720 1.5720 2.5081
Hg 1.5720 4.9115 2.4822
Hg 4.9115 1.5720 2.4822
Hg 4.9115 4.9115 2.5081
Pb 3.2417 3.2417 0.0000
```

Main lines, in order of falling intensity (10 to 80 degrees two-theta):
hkl 2 0 1, 2.718 Å, 2θ = 32.9°, I = 100.0; hkl 2 2 0, 2.292 Å, 2θ = 39.3°, I = 31.0; hkl 4 2 1, 1.392 Å, 2θ = 67.2°, I = 25.6; hkl 2 2 2, 1.688 Å, 2θ = 54.3°, I = 24.5; hkl 0 0 2, 2.495 Å, 2θ = 36.0°, I = 19.9; hkl 2 0 3, 1.480 Å, 2θ = 62.8°, I = 16.0; hkl 4 0 2, 1.359 Å, 2θ = 69.1°, I = 11.9; hkl 4 0 0, 1.621 Å, 2θ = 56.8°, I = 10.6

----------

Record 1
Structure and computed XRD peak list of MnFeSiO4 (a structure optimized by DFT (GGA+U); Cu Kα (λ = 1.5418 Å)).

Most intense lines, 5° ≤ 2θ ≤ 70°, low angle first:
2θ/deg, intensity, hkl
24.4, 60.7, 1 1 1
31.2, 88.0, 3 0 1
33.2, 33.1, 2 2 0
34.4, 65.4, 3 1 1
34.9, 100.0, 1 2 1
50.1, 73.9, 2 2 2
50.6, 22.0, 4 0 2
55.6, 17.5, 5 2 1
58.8, 23.8, 0 4 0
60.2, 24.7, 6 2 0

Atomic structure:
```
data_MnFeSiO4
_chemical_formula_sum 'Mn4 Fe4 Si4 O16'
_cell_length_a 10.586
_cell_length_b 6.278
_cell_length_c 4.933
_cell_angle_alpha 90.00
_cell_angle_beta 90.00
_cell_angle_gamma 90.00
_space_group_name_H-M_alt 'P n m a'
_space_group_IT_number 62
_space_group_name_Hall '-P 2ac 2n'
loop_
_atom_site_label
_atom_site_type_symbol
_atom_site_fract_x
_atom_site_fract_y
_atom_site_fract_z
_atom_site_occupancy
Mn1 Mn 0.000 0.000 0.000 1
Fe1 Fe 0.220 0.250 0.482 1
Si1 Si 0.098 0.750 0.429 1
O1 O 0.046 0.250 0.706 1
O2 O 0.096 0.750 0.761 1
O3 O 0.167 0.540 0.288 1
```



Record 2
Structure and computed XRD peak list of Sr6Mn3FeO14 (a structure optimized by DFT (GGA+U); Cu Kα (λ = 1.5418 Å)).

Most intense lines, 5° ≤ 2θ ≤ 70°, low angle first:
2θ/deg, intensity, hkl
26.4, 7.4, 0 0 6
31.8, 100.0, 1 1 5
32.5, 67.6, 2 0 0
42.3, 24.8, 2 0 6
44.7, 15.5, 0 0 10
46.6, 47.7, 2 2 0
56.3, 14.7, 2 0 10
57.6, 37.1, 3 1 5
66.6, 16.5, 2 2 10
68.0, 15.1, 4 0 0

Atomic structure:
```
data_Sr6Mn3FeO14
_chemical_formula_sum 'Sr12 Mn6 Fe2 O28'
_cell_length_a 5.510
_cell_length_b 5.514
_cell_length_c 20.276
_cell_angle_alpha 90.00
_cell_angle_beta 90.00
_cell_angle_gamma 90.00
_space_group_name_H-M_alt 'A m m 2'
_space_group_IT_number 38
_space_group_name_Hall 'A 2 -2'
loop_
_atom_site_label
_atom_site_type_symbol
_atom_site_fract_x
_atom_site_fract_y
_atom_site_fract_z
_atom_site_occupancy
Sr1 Sr 0.000 0.000 0.000 1
Sr2 Sr 0.000 0.000 0.183 1
Sr3 Sr 0.000 0.000 0.365 1
Sr4 Sr 0.500 0.000 0.500 1
Sr5 Sr 0.500 0.000 0.683 1
Sr6 Sr 0.500 0.000 0.866 1
Mn1 Mn 0.000 0.000 0.585 1
Mn2 Mn 0.000 0.000 0.780 1
Mn3 Mn 0.500 0.000 0.085 1
Fe1 Fe 0.500 0.000 0.280 1
O1 O 0.000 0.000 0.490 1
=====

Response >
2